Listing.
........
Record 1
Density functional theory data (r²SCAN) for a geometry-optimized Pm3Sc structure.

The structure in POSCAR format:
```
Pm3Sc
1.0
7.303 0.000 0.000
-3.652 6.325 0.000
0.000 0.000 5.640
Pm Sc
6 2
Cartesian
0.000 2.165 1.410
-1.777 5.242 1.410
1.875 1.082 4.230
1.777 5.242 1.410
5.428 1.082 4.230
3.652 4.160 4.230
0.000 4.217 4.230
3.652 2.108 1.410
```

Properties
The value obtained for the energy relative to the lowest polymorph listed for this composition is 0 meV per atom. The calculation puts the formation energy at 0.040 eV/atom. Its magnetic moment is 1.33 Bohr magnetons per cell.

=====

Record 2
Density functional theory data (r²SCAN) for a geometry-optimized PrNdSb2 structure.

The structure in POSCAR format:
```
PrNdSb2
1.0
4.548 0.000 0.000
-2.274 3.939 0.000
0.000 0.000 22.277
Pr Nd Sb
3 3 6
Cartesian
0.000 0.000 0.000
0.000 2.626 14.851
2.274 1.313 7.426
0.000 0.000 11.138
0.000 2.626 3.713
2.274 1.313 18.564
0.000 0.000 5.556
0.000 0.000 16.721
0.000 2.626 9.295
0.000 2.626 20.407
2.274 1.313 1.870
2.274 1.313 12.981
```

Properties
The calculation puts the formation energy at -1.430 eV/atom. Its magnetic moment is 0.00 Bohr magnetons per cell.

=====

Record 3
Density functional theory data (r²SCAN) for a geometry-optimized Er4CdPd structure.

The structure in POSCAR format:
```
Er4CdPd
1.0
0.000 6.747 6.747
6.747 0.000 6.747
6.747 6.747 0.000
Er Cd Pd
16 4 4
Cartesian
3.374 3.374 0.817
3.374 0.817 3.374
5.930 3.374 3.374
6.747 6.747 2.492
6.747 2.492 6.747
11.002 6.747 6.747
8.156 5.339 5.339
0.817 3.374 3.374
3.374 5.930 3.374
3.374 3.374 5.930
5.339 8.156 5.339
5.339 5.339 8.156
8.156 8.156 8.156
2.492 6.747 6.747
6.747 11.002 6.747
6.747 6.747 11.002
11.229 9.013 9.013
9.013 11.229 9.013
9.013 9.013 11.229
11.229 11.229 11.229
5.328 5.328 5.328
8.167 8.167 5.328
8.167 5.328 8.167
5.328 8.167 8.167
```

Properties
The calculation puts the formation energy at -0.500 eV/atom. Its magnetic moment is 0.00 Bohr magnetons per cell.

=====

Record 4
Density functional theory data (r²SCAN) for a geometry-optimized SiC structure.

The structure in POSCAR format:
```
SiC
1.0
1.538 0.888 42.780
-1.538 0.888 42.780
0.000 -1.776 42.780
Si C
17 17
Cartesian
0.000 0.000 0.000
0.000 0.000 5.034
0.000 0.000 15.097
0.000 0.000 20.132
0.000 0.000 30.196
0.000 0.000 35.232
0.000 0.000 45.297
0.000 0.000 52.846
0.000 0.000 60.395
0.000 0.000 67.945
0.000 0.000 75.494
0.000 0.000 83.044
0.000 0.000 93.107
0.000 0.000 98.143
0.000 0.000 108.206
0.000 0.000 113.242
0.000 0.000 123.306
0.000 0.000 1.886
0.000 0.000 6.921
0.000 0.000 16.984
0.000 0.000 22.020
0.000 0.000 32.083
0.000 0.000 37.119
0.000 0.000 47.189
0.000 0.000 54.739
0.000 0.000 62.288
0.000 0.000 69.838
0.000 0.000 77.387
0.000 0.000 84.936
0.000 0.000 94.995
0.000 0.000 100.031
0.000 0.000 110.094
0.000 0.000 115.129
0.000 0.000 125.192
```

Properties
The value obtained for the energy relative to the lowest polymorph listed for this composition is 0 meV per atom. The calculation puts the formation energy at -0.306 eV/atom. Its magnetic moment is 0.00 Bohr magnetons per cell.

=====

Record 5
Density functional theory data (r²SCAN) for a geometry-optimized LiLu2Ru structure.

The structure in POSCAR format:
```
LiLu2Ru
1.0
6.753 0.000 0.000
0.000 6.753 0.000
0.000 0.000 6.753
Li Lu Ru
4 8 4
Cartesian
0.000 0.000 0.000
0.000 3.376 3.376
3.376 0.000 3.376
3.376 3.376 0.000
1.688 1.688 1.688
1.688 1.688 5.065
1.688 5.065 1.688
1.688 5.065 5.065
5.065 1.688 1.688
5.065 1.688 5.065
5.065 5.065 1.688
5.065 5.065 5.065
0.000 0.000 3.376
0.000 3.376 0.000
3.376 0.000 0.000
3.376 3.376 3.376
```

Properties
The calculation puts the formation energy at -0.369 eV/atom. Its magnetic moment is 0.00 Bohr magnetons per cell.

=====

Record 6
Density functional theory data (r²SCAN) for a geometry-optimized Ho2CdSe4 structure.

The structure in POSCAR format:
```
Ho2CdSe4
1.0
0.000 5.844 5.844
5.844 0.000 5.844
5.844 5.844 0.000
Ho Cd Se
4 2 8
Cartesian
0.000 0.000 0.000
........

To do.
Give back every line earlier on that contains the word "format".

Solution.
The structure in POSCAR format:
The structure in POSCAR format:
The structure in POSCAR format:
The structure in POSCAR format:
The structure in POSCAR format:
The structure in POSCAR format: